IMF Cuts Japan’s Growth Forecast on Hit From Ukraine War Fallout

IMF Cuts Japan’s Growth Forecast on Hit From Ukraine War Fallout
A man walks through a street in Tokyo's Shinjuku district on March 8, 2012. (Yuriko Nakao/Reuters)

TOKYO—The International Monetary Fund (IMF) cut Japan’s economic growth forecast on Thursday and urged policymakers to consider preparing a contingency plan in case the Ukraine crisis derails a fragile recovery.

While rising commodity costs could push up inflation, the Bank of Japan (BOJ) must maintain ultra-easy policy for a prolonged period to sustainably hit its 2 percent inflation target, the IMF said in a staff report after its Article 4 policy consultation with Japan.

“Escalation of the Ukraine conflict poses significant downside risks to the Japanese economy,” the IMF said, pointing to the potential hit to trade and noting that rising commodity prices could stifle domestic demand.

“In view of elevated uncertainty including from the pandemic and the conflict in Ukraine, the authorities could consider preparing a contingency plan that is readily implementable” in case its economy faces a severe shock, it said.

Records of crystals, kept here for reference:
Simulated powder diffractogram
Compound: ZrPt3
Radiation: λ = 1.5418 Å (Cu Kα)
Structure: DFT lattice parameters and positions (PBE)
Intensities are scaled so that the largest is 100.

Crystal structure
```
data_ZrPt3
_cell_length_a 4.056
_cell_length_b 4.056
_cell_length_c 4.056
_cell_angle_alpha 90.00
_cell_angle_beta 90.00
_cell_angle_gamma 90.00
_space_group_name_H-M_alt 'P m -3 m'
_space_group_IT_number 221
_space_group_name_Hall '-P 4 2 3'
loop_
_atom_site_label
_atom_site_type_symbol
_atom_site_fract_x
_atom_site_fract_y
_atom_site_fract_z
_atom_site_occupancy
Zr1 Zr 0.000 0.000 0.000 1
Pt1 Pt 0.000 0.500 0.500 1
```

Most intense lines, 2θ = 15–90°, by intensity:
2θ 38.4, I 100, hkl 1 1 1; 2θ 44.7, I 49, hkl 2 0 0; 2θ 78.2, I 39, hkl 3 1 1; 2θ 65.0, I 32, hkl 2 2 0; 2θ 82.4, I 11, hkl 2 2 2; 2θ 21.9, I 6, hkl 1 0 0



Simulated powder diffractogram
Compound: ZrPt3
Radiation: λ = 1.5418 Å (Cu Kα)
Structure: DFT lattice parameters and positions (PBE)
Intensities are scaled so that the largest is 100.

Crystal structure
```
data_ZrPt3
_cell_length_a 5.7406
_cell_length_b 5.7406
_cell_length_c 9.3810
_cell_angle_alpha 90.00
_cell_angle_beta 90.00
_cell_angle_gamma 120.00
_space_group_name_H-M_alt 'P 63/m m c'
_space_group_IT_number 194
_space_group_name_Hall '-P 6c 2c'
loop_
_atom_site_label
_atom_site_type_symbol
_atom_site_fract_x
_atom_site_fract_y
_atom_site_fract_z
_atom_site_occupancy
Zr1 Zr 0.0000 0.0000 0.0000 1
Zr2 Zr 0.3333 0.6667 0.2500 1
Pt1 Pt 0.0000 0.5000 0.0000 1
Pt2 Pt 0.1699 0.3398 0.7500 1
```

Most intense lines, 2θ = 15–90°, by intensity:
2θ 41.1, I 100, hkl 2 0 2; 2θ 37.4, I 43, hkl 2 0 1; 2θ 38.4, I 36, hkl 0 0 4; 2θ 78.1, I 28, hkl 2 2 4; 2θ 46.7, I 23, hkl 2 0 3; 2θ 65.0, I 23, hkl 2 2 0



Simulated powder diffractogram
Compound: Pu
Radiation: λ = 1.5418 Å (Cu Kα)
Structure: DFT lattice parameters and positions (PBE)
Intensities are scaled so that the largest is 100.

Crystal structure
```
data_Pu
_cell_length_a 3.207
_cell_length_b 3.207
_cell_length_c 3.207
_cell_angle_alpha 90.00
_cell_angle_beta 90.00
_cell_angle_gamma 90.00
_space_group_name_H-M_alt 'I m -3 m'
_space_group_IT_number 229
_space_group_name_Hall '-I 4 2 3'
loop_
_atom_site_label
_atom_site_type_symbol
_atom_site_fract_x
_atom_site_fract_y
_atom_site_fract_z
_atom_site_occupancy
Pu1 Pu 0.000 0.000 0.000 1
```

Most intense lines, 2θ = 15–90°, by intensity:
2θ 39.8, I 100, hkl 1 1 0; 2θ 72.2, I 36, hkl 2 1 1; 2θ 57.5, I 18, hkl 2 0 0; 2θ 85.7, I 12, hkl 2 2 0



Simulated powder diffractogram
Compound: Pu
Radiation: λ = 1.5418 Å (Cu Kα)
Structure: DFT lattice parameters and positions (PBE)
Intensities are scaled so that the largest is 100.

Crystal structure
```
data_Pu
_cell_length_a 3.604
_cell_length_b 6.355
_cell_length_c 6.897
_cell_angle_alpha 73.77
_cell_angle_beta 89.97
_cell_angle_gamma 89.78
_space_group_name_H-M_alt 'P -1'
_space_group_IT_number 2
loop_
_space_group_symop_operation_xyz
'x,y,z'
'-x,-y,-z'
loop_
_atom_site_label
The records of crystals stop here:

The IMF said it now expects Japan’s economy to grow 2.4 percent this year, lower than a projection for 3.3 percent expansion made in January, due to an expected contraction in the first quarter and the spillover effects of the Ukraine war.

Domestic demand will likely slow from surging commodity prices, while geo-political tensions and a sharper-than-expected slowdown in China’s growth were risks to exports, it said.

On prices, the IMF said Japan will likely see inflation momentum pick up on higher commodity prices, and an expected rebound in consumption as coronavirus infection cases fall.

“A prolonged period of monetary policy accommodation will be required,” however, as headline consumer inflation is expected to stay at 1.0 percent this year, it said.

The IMF repeated its recommendation for the BOJ to make its policy more sustainable, such as by steepening the yield curve by targeting a shorter maturity than the current 10-year yield.

The BOJ said it saw no need to adjust its current framework and “expressed concern” over the IMF’s recommendation to shorten the yield curve target, according to the staff report.

Under a policy dubbed yield curve control (YCC), the BOJ guides short-term interest rates at -0.1 percent and the 10-year government bond yield around 0 percent. The 10-year yield cap has been criticised by some analysts for flattening the yield curve and crushing the margin of financial institutions.

The IMF released the final version of its Article 4 staff report, signed off by its executive board, after issuing a preliminary finding in January.

By Leika Kihara